Next, restate the part of the data further below that starts with the line with "Se: 0.339" and stops after the one with "energy**: 6.30".

No. 1
Computed, not measured: a geometry-optimized Cu2WSe structure at the PBE level of DFT.

Computed properties:
**DOS at the Fermi energy**: 3.14 states/eV/f.u.
**Electronic total energy**: -22.142 eV for the cell shown
**Crystal system**: tetragonal
**Raw formation energy**: 60 kJ per mole of atoms

Unit cell a=3.697 b=3.697 c=4.242 alpha=90.00 beta=90.00 gamma=90.00
Positions (direct):
Cu: 0.000 0.500 0.000
Cu: 0.500 0.000 0.000
W: 0.000 0.000 0.500
Se: 0.500 0.500 0.500


No. 2
Computed, not measured: a geometry-optimized Rb5Ti6AgSe27 structure at the PBE level of DFT.

Computed properties:
**Electronic total energy**: -363.606 eV for the cell shown
**Crystal system**: trigonal
**Raw formation energy**: -81 kJ per mole of atoms

Unit cell a=13.705 b=13.705 c=14.056 alpha=90.00 beta=90.00 gamma=120.00
Positions (direct):
Rb: 0.037 0.375 0.000
Rb: 0.333 0.667 0.175
Rb: 0.333 0.667 0.814
Rb: 0.339 0.963 0.000
Rb: 0.375 0.037 0.500
Rb: 0.625 0.661 0.000
Rb: 0.661 0.625 0.500
Rb: 0.667 0.333 0.314
Rb: 0.667 0.333 0.675
Rb: 0.963 0.339 0.500
Ti: 0.014 0.680 0.124
Ti: 0.016 0.671 0.865
Ti: 0.320 0.334 0.124
Ti: 0.329 0.345 0.865
Ti: 0.334 0.320 0.624
Ti: 0.345 0.329 0.365
Ti: 0.655 0.984 0.865
Ti: 0.666 0.986 0.124
Ti: 0.671 0.016 0.365
Ti: 0.680 0.014 0.624
Ti: 0.984 0.655 0.365
Ti: 0.986 0.666 0.624
Ag: 0.000 0.000 0.250
Ag: 0.000 0.000 0.750
Se: 0.014 0.527 0.738
Se: 0.077 0.882 0.870
Se: 0.098 0.892 0.139
Se: 0.108 0.206 0.139
Se: 0.115 0.796 0.493
Se: 0.118 0.195 0.870
Se: 0.129 0.589 0.359
Se: 0.139 0.665 0.998
Se: 0.154 0.815 0.749
Se: 0.159 0.800 0.248
Se: 0.184 0.692 0.582
Se: 0.185 0.339 0.749
Se: 0.195 0.118 0.370
Se: 0.200 0.359 0.248
Se: 0.204 0.318 0.493
Se: 0.206 0.108 0.639
Se: 0.308 0.492 0.582
Se: 0.318 0.204 0.993
Se: 0.335 0.474 0.998
Se: 0.339 0.185 0.249
Se: 0.359 0.200 0.748
Se: 0.411 0.540 0.359
Se: 0.460 0.871 0.359
Se: 0.473 0.487 0.738
Se: 0.474 0.335 0.498
Se: 0.487 0.473 0.238
Se: 0.492 0.308 0.082
Se: 0.508 0.816 0.582
Se: 0.513 0.986 0.738
Se: 0.526 0.861 0.998
Se: 0.527 0.014 0.238
Se: 0.540 0.411 0.859
Se: 0.589 0.129 0.859
Se: 0.641 0.841 0.248
Se: 0.661 0.846 0.749
Se: 0.665 0.139 0.498
Se: 0.682 0.885 0.493
Se: 0.692 0.184 0.082
Se: 0.794 0.902 0.139
Se: 0.796 0.115 0.993
Se: 0.800 0.159 0.748
Se: 0.805 0.923 0.870
Se: 0.815 0.154 0.249
Se: 0.816 0.508 0.082
Se: 0.841 0.641 0.748
Se: 0.846 0.661 0.249
Se: 0.861 0.526 0.498
Se: 0.871 0.460 0.859
Se: 0.882 0.077 0.370
Se: 0.885 0.682 0.993
Se: 0.892 0.098 0.639
Se: 0.902 0.794 0.639
Se: 0.923 0.805 0.370
Se: 0.986 0.513 0.238


No. 3
Computed, not measured: a geometry-optimized ErSi2Te6 structure at the PBE level of DFT.

Computed properties:
**DOS at the Fermi energy**: 6.30 states/eV/f.u.
**Electronic total energy**: -73.554 eV for the cell shown
**Crystal system**: monoclinic
**Raw formation energy**: -27 kJ per mole of atoms

Unit cell a=9.508 b=9.508 c=7.509 alpha=103.89 beta=103.89 gamma=80.98
Positions (direct):
Er: 0.124 0.876 0.750
Er: 0.876 0.124 0.250
Si: 0.212 0.374 0.748
Si: 0.374 0.212 0.248
Si: 0.626 0.788 0.752
Si: 0.788 0.626 0.252
Te: 0.027 0.189 0.666
Te: 0.072 0.612 0.864
Te: 0.189 0.027 0.166
Te: 0.309 0.441 0.492
Te: 0.388 0.928 0.636
Te: 0.441 0.309 0.992
Te: 0.559 0.691 0.008
Te: 0.612 0.072 0.364
Te: 0.691 0.559 0.508
Te: 0.811 0.973 0.834
Te: 0.928 0.388 0.136
Te: 0.973 0.811 0.334


No. 4
Computed, not measured: a geometry-optimized Pr2Pu3Pt4 structure at the PBE level of DFT.

Computed properties:
**DOS at the Fermi energy**: 29.40 states/eV/f.u.
**Electronic total energy**: -169.182 eV for the cell shown
**Crystal system**: monoclinic

Unit cell a=7.749 b=7.795 c=7.657 alpha=90.00 beta=109.71 gamma=90.00
Positions (direct):
Pr: 0.191 0.176 0.067
Pr: 0.191 0.324 0.567
Pr: 0.809 0.676 0.433
Pr: 0.809 0.824 0.933
Pu: 0.246 0.667 0.241
Pu: 0.246 0.833 0.741
Pu: 0.500 0.000 0.500
Pu: 0.500 0.500 0.000
Pu: 0.754 0.167 0.259
Pu: 0.754 0.333 0.759
Pt: 0.080 0.540 0.846
Pt: 0.080 0.960 0.346
Pt: 0.495 0.131 0.869

Se: 0.339 0.185 0.249
Se: 0.359 0.200 0.748
Se: 0.411 0.540 0.359
Se: 0.460 0.871 0.359
Se: 0.473 0.487 0.738
Se: 0.474 0.335 0.498
Se: 0.487 0.473 0.238
Se: 0.492 0.308 0.082
Se: 0.508 0.816 0.582
Se: 0.513 0.986 0.738
Se: 0.526 0.861 0.998
Se: 0.527 0.014 0.238
Se: 0.540 0.411 0.859
Se: 0.589 0.129 0.859
Se: 0.641 0.841 0.248
Se: 0.661 0.846 0.749
Se: 0.665 0.139 0.498
Se: 0.682 0.885 0.493
Se: 0.692 0.184 0.082
Se: 0.794 0.902 0.139
Se: 0.796 0.115 0.993
Se: 0.800 0.159 0.748
Se: 0.805 0.923 0.870
Se: 0.815 0.154 0.249
Se: 0.816 0.508 0.082
Se: 0.841 0.641 0.748
Se: 0.846 0.661 0.249
Se: 0.861 0.526 0.498
Se: 0.871 0.460 0.859
Se: 0.882 0.077 0.370
Se: 0.885 0.682 0.993
Se: 0.892 0.098 0.639
Se: 0.902 0.794 0.639
Se: 0.923 0.805 0.370
Se: 0.986 0.513 0.238


No. 3
Computed, not measured: a geometry-optimized ErSi2Te6 structure at the PBE level of DFT.

Computed properties:
**DOS at the Fermi energy**: 6.30 states/eV/f.u.